### Brief
Say how many lines of the entries underneath hold the word "S²", as a bare number.
### Listing
+++
1.
Density functional theory data (wB97M-V/def2-TZVPD) for a molecular structure, C4H3AlF6NO6S2 at a distorted geometry.

Calculated values
HOMO-LUMO gap (spin up / spin down): 7.850 / 5.210 eV
multiplicity: 2
relative energy (zero: lowest compared OMol25 entry of this formula, charge and spin): 12.4 kcal per mole
expectation value of S²: 0.75
net charge: 0

The geometry in XYZ format:
```
23
Properties=species:S:1:pos:R:3:lowdin_charge:R:1
S 1.0966 -0.5132 0.5957 0.424
S -1.0055 -0.9234 2.0075 0.684
Al -1.4937 2.6972 0.0233 0.975
F 0.6600 0.2810 4.0171 0.081
F 1.8616 1.9112 -0.4530 0.073
F 3.1984 0.1379 -0.9089 0.098
F -0.7115 -1.3065 4.6768 0.225
F -1.4324 0.5316 4.2030 0.161
F 3.2894 1.2207 1.0355 0.096
O 0.8985 -1.3716 -0.5133 -0.279
O -2.4431 -0.7218 2.0179 -0.323
O 1.7750 -1.1376 1.6529 -0.285
O -0.1079 1.2882 -4.6405 0.312
O -0.5873 -2.3035 1.9355 -0.284
O -0.3991 1.4469 -2.4301 -0.075
N -0.1312 0.2894 1.0400 -0.370
C -0.5722 -0.3538 3.8669 -0.696
C -1.3007 -0.4252 -3.5775 0.030
C -0.5364 0.8671 -3.5340 -0.599
C 2.4484 0.8072 0.0245 -0.542
H -2.3052 -0.3338 -3.9908 0.095
H -0.7749 -1.0085 -4.3335 0.092
H -1.4272 -1.0795 -2.7149 0.106
```

---

2.
Density functional theory data (wB97M-V/def2-TZVPD) for a gas-phase ion, C7H17NP (charge +1) at a distorted geometry.

Calculated values
HOMO-LUMO gap: 8.687 eV
relative energy (zero: lowest compared OMol25 entry of this formula, charge and spin): 0.0 kcal per mole
net charge: +1

The geometry in XYZ format:
```
26
Properties=species:S:1:pos:R:3:lowdin_charge:R:1
P 0.3655 -1.8500 1.3608 0.902
N -0.1156 1.0661 0.5374 -0.073
C 1.4307 2.4974 -0.7488 -0.024
C -1.2509 1.7809 1.0763 -0.054
C 0.9548 0.1048 -1.3832 -0.141
C -0.2017 -3.6092 1.0723 -0.293
C -0.1385 -0.9805 -1.3096 -0.217
C 0.3749 1.3922 -0.7898 -0.387
C -0.6458 -1.0695 0.0712 -0.240
H -0.9945 2.8215 1.2923 0.101
H 0.6043 -4.2876 1.3452 0.036
H -0.9334 -0.7485 -2.0190 0.128
H -2.0712 1.7662 0.3605 0.101
H 1.7288 2.7539 -1.7611 0.093
H 0.3386 -1.9187 -1.6080 0.131
H -1.0751 -3.8244 1.6826 0.041
H 1.2748 0.2574 -2.4132 0.134
H 1.0374 3.3900 -0.2682 0.084
H 1.8213 -0.2152 -0.8013 0.117
H 2.3119 2.1618 -0.2076 0.091
H -0.4808 1.7170 -1.3915 0.159
H -0.5312 -1.5621 2.3944 -0.050
H -1.5804 1.3113 2.0010 0.096
H 0.6421 0.9768 1.2115 0.134
H -1.6929 -0.8621 0.2436 0.097
H -0.4472 -3.7637 0.0247 0.035
```

---

3.
Density functional theory data (wB97M-V/def2-TZVPD) for a molecular structure, C14H14GaNO5 at a distorted geometry.

Calculated values
HOMO-LUMO gap: 7.499 eV
relative energy (zero: lowest compared OMol25 entry of this formula, charge and spin): 11.0 kcal per mole
net charge: +2

The geometry in XYZ format:
```
35
Properties=species:S:1:pos:R:3:lowdin_charge:R:1
Ga -1.3017 -0.7641 -1.0303 0.538
O -1.6665 -4.2718 -3.1049 0.124
O -4.8817 -0.8055 -1.9531 0.183
O -3.2559 -4.2263 -0.1396 0.121
O 1.8540 -2.6805 -2.3748 -0.052
O 0.6277 -0.6246 -3.4957 0.190
N 2.1197 0.1129 0.6556 -0.163
C 0.8929 -0.4828 1.3953 -0.078
C -0.2031 1.5863 2.2898 -0.022
C -1.9434 2.7152 1.0960 -0.039
C 2.6266 -3.2882 -2.9786 0.101
C -1.3195 0.4874 0.4215 -0.216
C -0.1496 -0.6921 -2.6251 -0.081
C 1.7899 0.9300 -0.5291 0.006
C -3.1212 -3.0950 -0.1457 0.039
C -0.2762 0.5089 1.3870 -0.222
C -3.7651 -0.6919 -1.7380 0.041
C 2.9978 0.9209 1.5471 0.020
C -1.0083 2.6948 2.1068 -0.032
C -2.1401 1.6155 0.2506 -0.085
C -1.8166 -3.1433 -3.0316 0.050
H -2.8796 1.7285 -0.5608 0.107
H -0.8660 3.5909 2.7152 0.136
H 1.4195 1.8984 -0.1908 0.124
H 2.6963 1.0413 -1.1382 0.136
H 1.0339 0.4250 -1.1272 0.020
H -2.5261 3.6182 0.9343 0.128
H 3.9564 1.0762 1.0315 0.127
H 2.5070 1.8818 1.7009 0.103
H 0.2014 -1.2663 -0.6308 0.023
H 2.6941 -0.6674 0.3190 0.186
H 1.2925 -0.6912 2.4007 0.139
H 3.1237 0.4091 2.5028 0.117
H 0.7514 -1.4872 0.9511 0.101
H 0.5359 1.6372 3.0889 0.130
```

---

4.
Density functional theory data (wB97M-V/def2-TZVPD) for 2 unconnected molecules or ions with the total composition C4H4O at a distorted geometry.

Calculated values
HOMO-LUMO gap: 9.842 eV
+++
### Reply
1